**Work order:**
Print everything further down without additions.
**File:**
1.
# Na2NbPd2 (PBE, relaxed)
# * volume: 185 Å³/cell
# * electronic total energy: -39.2 eV for the cell shown
# * relative energy among the computed polymorphs: 393.0 meV per atom
# * DFT formation energy: 3.5 eV/f.u.
data_Na2NbPd2
_cell_length_a 4.746
_cell_length_b 4.746
_cell_length_c 8.227
_cell_angle_alpha 90.00
_cell_angle_beta 90.00
_cell_angle_gamma 90.00
_symmetry_space_group_name_H-M 'I 4/m m m'
_symmetry_Int_Tables_number 139
_symmetry_space_group_name_Hall '-I 4 2'
loop_
_atom_site_label
_atom_site_type_symbol
_atom_site_fract_x
_atom_site_fract_y
_atom_site_fract_z
Na1 Na 0.000 0.000 0.129
Nb1 Nb 0.000 0.000 0.500
Pd1 Pd 0.000 0.500 0.250

---

2.
# MgTiAsBr2 (PBE, relaxed)
# * volume: 131 Å³/cell
# * electronic total energy: -19.3 eV for the cell shown
# * relative energy among the computed polymorphs: 0.0 meV per atom
# * energy relative to the elements, uncorrected: -8.442 kcal/mol of atoms
data_MgTiAsBr2
_cell_length_a 5.004
_cell_length_b 5.004
_cell_length_c 5.213
_cell_angle_alpha 90.00
_cell_angle_beta 90.00
_cell_angle_gamma 90.00
_symmetry_space_group_name_H-M 'P 4/m m m'
_symmetry_Int_Tables_number 123
_symmetry_space_group_name_Hall '-P 4 2'
loop_
_atom_site_label
_atom_site_type_symbol
_atom_site_fract_x
_atom_site_fract_y
_atom_site_fract_z
Mg1 Mg 0.000 0.000 0.000
Ti1 Ti 0.500 0.500 0.500
As1 As 0.500 0.500 0.000
Br1 Br 0.000 0.500 0.500


Density functional theory data (PBE) for crystalline AcBeSn at its relaxed geometry.

Structure (CIF):
```
data_AcBeSn
_chemical_formula_sum 'Ac4 Be4 Sn4'
_space_group_name_H-M_alt 'I 41 m d'
_space_group_IT_number 109
_space_group_name_Hall 'I 4bw -2'
_cell_length_a 4.5401
_cell_length_b 4.5401
_cell_length_c 15.2895
_cell_angle_alpha 90.00
_cell_angle_beta 90.00
_cell_angle_gamma 90.00
loop_
_atom_site_label
_atom_site_fract_x
_atom_site_fract_y
_atom_site_fract_z
Ac1 0.0000 0.0000 0.0000
Be1 0.0000 0.0000 0.4158
Sn1 0.0000 0.0000 0.5819
```

Properties
The calculation puts the uncorrected energy at -4.329 eV/atom.
**Done:**
1.
# Na2NbPd2 (PBE, relaxed)
# * volume: 185 Å³/cell
# * electronic total energy: -39.2 eV for the cell shown
# * relative energy among the computed polymorphs: 393.0 meV per atom
# * DFT formation energy: 3.5 eV/f.u.
data_Na2NbPd2
_cell_length_a 4.746
_cell_length_b 4.746
_cell_length_c 8.227
_cell_angle_alpha 90.00
_cell_angle_beta 90.00
_cell_angle_gamma 90.00
_symmetry_space_group_name_H-M 'I 4/m m m'
_symmetry_Int_Tables_number 139
_symmetry_space_group_name_Hall '-I 4 2'
loop_
_atom_site_label
_atom_site_type_symbol
_atom_site_fract_x
_atom_site_fract_y
_atom_site_fract_z
Na1 Na 0.000 0.000 0.129
Nb1 Nb 0.000 0.000 0.500
Pd1 Pd 0.000 0.500 0.250

---

2.
# MgTiAsBr2 (PBE, relaxed)
# * volume: 131 Å³/cell
# * electronic total energy: -19.3 eV for the cell shown
# * relative energy among the computed polymorphs: 0.0 meV per atom
# * energy relative to the elements, uncorrected: -8.442 kcal/mol of atoms
data_MgTiAsBr2
_cell_length_a 5.004
_cell_length_b 5.004
_cell_length_c 5.213
_cell_angle_alpha 90.00
_cell_angle_beta 90.00
_cell_angle_gamma 90.00
_symmetry_space_group_name_H-M 'P 4/m m m'
_symmetry_Int_Tables_number 123
_symmetry_space_group_name_Hall '-P 4 2'
loop_
_atom_site_label
_atom_site_type_symbol
_atom_site_fract_x
_atom_site_fract_y
_atom_site_fract_z
Mg1 Mg 0.000 0.000 0.000
Ti1 Ti 0.500 0.500 0.500
As1 As 0.500 0.500 0.000
Br1 Br 0.000 0.500 0.500


Density functional theory data (PBE) for crystalline AcBeSn at its relaxed geometry.

Structure (CIF):
```
data_AcBeSn
_chemical_formula_sum 'Ac4 Be4 Sn4'
_space_group_name_H-M_alt 'I 41 m d'
_space_group_IT_number 109
_space_group_name_Hall 'I 4bw -2'
_cell_length_a 4.5401
_cell_length_b 4.5401
_cell_length_c 15.2895
_cell_angle_alpha 90.00
_cell_angle_beta 90.00
_cell_angle_gamma 90.00
loop_
_atom_site_label
_atom_site_fract_x
_atom_site_fract_y
_atom_site_fract_z
Ac1 0.0000 0.0000 0.0000
Be1 0.0000 0.0000 0.4158
Sn1 0.0000 0.0000 0.5819
```

Properties
The calculation puts the uncorrected energy at -4.329 eV/atom.